Restoration of the House and Grounds

Abberley Hall has barely been touched since its heyday in the late 19th century.This makes it a treasure trove of authentic detail and one of the finest examples of provincial architecture left in the country. However it is also in need of some attention and this was highlighted by a report prepared by Historic Buildings Consultants in 2002. Read Report. The Foundation is addressing the issues raised in the report and commissioned Paine & Stewart, specialist conservators with excellent credentials in the world of Victorian architecture, to concentrate on repair, reinstatement of damaged paint and plasterwork, and careful cleaning of the main areas in the house:

## Attached: records of crystals
<<<
The following is a GGA-PBE calculation of an optimized crystal structure of Mo3Se2S4, from Materials Project.

Computed properties:
As for the corrected total energy (MP2020 scheme): -7.243 eV/atom. For the total energy, the calculation gives -0.2580 hartree per atom. The formation energy comes out at -1.01 eV/atom. As for the space-group type: P-6m2 (187).

a b c (Å): 3.231 3.231 29.668
angles (deg): 90.00 90.00 120.00
Sites, in units of the cell vectors:
S1 0.333 0.667 0.716
S2 0.333 0.667 0.821
S3 0.333 0.667 0.179
S4 0.333 0.667 0.284
Se1 0.000 0.000 0.942
Se2 0.000 0.000 0.058
Mo1 0.333 0.667 0.000
Mo2 0.000 0.000 0.769
Mo3 0.000 0.000 0.231
>>>

In addition to the interior, there are also elements of the garden that are in need of urgent attention. Conservation work to the Balustrade has recently transformed the Balustrade next to the house, but the remaining 80% is in a poor state of repair.  There are other major heritage issues such as the Clock Tower, the Ice House, Lime Kilns and the landscaped pleasure grounds.

Parkland Plan 2013

<<<
Record 1
Entry from Materials Project: an optimized crystal structure of EuFe4Cu3O12 (GGA+U).

Cell: 6.491 6.491 6.491 Å, 109.47 109.47 109.47°
Atoms (fractional coordinates):
O: 0.688 0.833 0.522
O: 0.688 0.167 0.855
O: 0.312 0.167 0.478
O: 0.833 0.522 0.688
O: 0.855 0.688 0.167
O: 0.312 0.833 0.145
O: 0.478 0.312 0.167
O: 0.167 0.855 0.688
O: 0.833 0.145 0.312
O: 0.167 0.478 0.312
O: 0.145 0.312 0.833
O: 0.522 0.688 0.833
Eu: 0.000 0.000 0.000
Fe: 0.500 0.500 0.500
Fe: 0.000 0.000 0.500
Fe: 0.500 0.000 0.000
Fe: 0.000 0.500 0.000
Cu: 0.500 0.000 0.500
Cu: 0.000 0.500 0.500
Cu: 0.500 0.500 0.000

As for the crystal system: cubic.

---

Record 2
Entry from Materials Project: an optimized crystal structure of Li9Mn2Co5O16 (GGA+U).

Cell: 5.116 7.646 7.822 Å, 97.97 101.73 103.22°
Atoms (fractional coordinates):
Li: 0.498 0.748 0.741
Li: 0.502 0.254 0.250
Li: 0.003 0.872 0.623
Li: 0.500 0.377 0.627
Li: 0.497 0.993 0.508
Li: 0.498 0.873 0.125
Li: 0.496 0.121 0.868
Li: 0.508 0.628 0.382
Li: 0.502 0.505 0.002
Mn: 0.997 0.997 0.996
Mn: 0.009 0.249 0.749
O: 0.211 0.373 0.377
O: 0.223 0.871 0.886
O: 0.232 0.134 0.627
O: 0.780 0.130 0.120
O: 0.764 0.763 0.997
O: 0.225 0.002 0.233
O: 0.768 0.885 0.367
O: 0.778 0.613 0.622
O: 0.225 0.237 0.985
O: 0.223 0.617 0.126
O: 0.242 0.489 0.758
O: 0.777 0.013 0.765
O: 0.783 0.377 0.873
O: 0.781 0.256 0.521
O: 0.230 0.737 0.490
O: 0.752 0.501 0.245
Co: 0.999 0.628 0.867
Co: 0.001 0.504 0.504
Co: 0.002 0.121 0.381
Co: 0.998 0.749 0.257
Co: 0.995 0.381 0.127

As for the crystal system: triclinic. The distance to the lowest polymorph of the same formula comes out at 27.0 meV per atom.

---

Record 3
Entry from Materials Project: an optimized crystal structure of V3OF11 (GGA+U).

Cell: 7.326 5.990 5.429 Å, 97.52 99.25 94.55°
Atoms (fractional coordinates):
F: 0.546 0.254 0.401
F: 0.372 0.523 0.155
F: 0.886 0.223 0.105
F: 0.636 0.459 0.866
F: 0.874 0.036 0.724
F: 0.128 0.796 0.878
F: 0.865 0.558 0.290
F: 0.467 0.714 0.579
F: 0.071 0.959 0.263
F: 0.140 0.454 0.733
F: 0.617 0.824 0.007
V: 0.626 0.371 0.170
V: 0.396 0.634 0.840
V: 0.058 0.029 0.988
O: 0.332 0.160 0.983

As for the crystal system: triclinic. The distance to the lowest polymorph of the same formula comes out at 647.5 meV per atom.

---

Record 4
Entry from Materials Project: an optimized crystal structure of MgTiVO4 (GGA+U).

Cell: 3.027 5.338 5.338 Å, 74.19 90.00 90.00°
Atoms (fractional coordinates):
O: 0.000 0.649 0.649
O: 0.000 0.324 0.324
O: 0.500 0.184 0.794
O: 0.500 0.794 0.184
Ti: 0.500 0.467 0.467
V: 0.000 0.085 0.085
Mg: 0.500 0.798 0.798

As for the crystal system: orthorhombic. The distance to the lowest polymorph of the same formula comes out at 198.1 meV per atom.

---

Record 5
Entry from Materials Project: an optimized crystal structure of Li2MnP2O7 (GGA+U).

Cell: 7.115 8.663 10.219 Å, 92.88 108.96 95.00°
Atoms (fractional coordinates):
Li: 0.626 0.851 0.293
Li: 0.927 0.400 0.528
Li: 0.927 0.400 0.028
Li: 0.337 0.677 0.508
Li: 0.337 0.677 0.008
>>>

This is to inform a ten year Higher Level Stewardship (HLS) agreement between the School and Natural England. The purpose of the Plan is to inform and guide day-to-day maintenance and management of the land in order to fulfil HLS ambitions; inform a programme of beneficial environmental management, ecological enhancement and conservation, restoration and repair of the historic landscape; and present a programme of work (both land management options and capital items) required to achieve the conservation and management objectives through a HLS agreement.
The study includes a detailed account of the history and evolution of the Abberley Hall designed landscape, and surveys of the ecology, archaeology, trees and woodland, structures and landscape. A statement of significance is then provided, together with the threats, issues and constraints that face the landscape. This leads on to the vision for the conservation and management of the historic landscape, management policies and guidelines, and finally the detailed recommendations.
This is to inform a ten year Higher Level Stewardship (HLS) agreement between the School and Natural England. The purpose of the Plan is to inform and guide day-to-day maintenance and management of the land in order tofulfil HLS ambitions; inform a programme of beneficial environmental management, ecological enhancement and conservation, restoration and repair of the historic landscape; and present a programme of work (both land management options and capital items) required to achieve the conservation and management objectives through a HLS agreement.

**Data records, as found in the file:**
-- begin --
#a
Here is a relaxed structure of HfMg6VO8 from the Materials Project. Energies are from PBE with a Hubbard U.

Structure (POSCAR):
```
HfMg6VO8
1.0
-3.3457 7.7094 2.6858
-2.0807 0.4151 -3.7836
-3.4325 -2.0682 1.6607
Hf Mg V O
1 6 1 8
direct
0.0000 0.5000 0.5000
0.5000 0.0000 0.0000
0.5000 0.5000 0.5000
0.2590 0.0000 0.5000
0.7410 0.0000 0.5000
0.2590 0.5000 0.0000
0.7410 0.5000 0.0000
0.0000 0.0000 0.0000
0.2571 0.0000 0.0000
0.7429 0.0000 0.0000
0.2578 0.5000 0.5000
0.7422 0.5000 0.5000
0.0000 0.0000 0.5000
0.5000 0.0000 0.5000
0.0000 0.5000 0.0000
0.5000 0.5000 0.0000
```

Values from the calculation:
Space group   P4/mmm (123)



#b
Here is a relaxed structure of HfMg6VO8 from the Materials Project. Energies are from PBE with a Hubbard U.

Structure (POSCAR):
```
HfMg6VO8
1.0
-0.9988 7.8991 -3.7594
-4.3370 -0.4054 0.3003
0.0963 1.8858 3.9368
Hf Mg V O
1 6 1 8
direct
0.5000 0.0000 0.0000
0.0000 0.5000 0.5000
0.5000 0.5000 0.5000
0.2420 0.0000 0.5000
0.7580 0.0000 0.5000
0.2420 0.5000 0.0000
0.7580 0.5000 0.0000
0.0000 0.0000 0.0000
0.2467 0.0000 0.0000
0.7533 0.0000 0.0000
0.2479 0.5000 0.5000
0.7521 0.5000 0.5000
0.0000 0.0000 0.5000
0.5000 0.0000 0.5000
0.0000 0.5000 0.0000
0.5000 0.5000 0.0000
```

Values from the calculation:
Space group   P4/mmm (123)



Which structure is most stable? #a, by 42 meV/atom over the runner-up.



#a
Here is a relaxed structure of Li3Mn2CoO6 from the Materials Project. Energies are from PBE with a Hubbard U.

Structure (POSCAR):
```
Li3Mn2CoO6
1.0
2.8212 -0.0124 0.4942
0.0940 9.7868 -0.8141
-2.7670 -0.0864 7.7733
Li Mn Co O
6 4 2 12
direct
0.2472 0.2462 0.4940
0.7528 0.7538 0.5060
0.5833 0.2447 0.1581
0.0771 0.7445 0.1575
0.9230 0.2555 0.8425
0.4167 0.7553 0.8419
0.6640 0.9954 0.3281
0.3360 0.0046 0.6719
0.1658 0.4942 0.3283
0.8341 0.5058 0.6717
0.0000 0.0000 0.0000
0.5000 0.5000 0.0000
0.4693 0.1125 0.9291
0.9335 0.6222 0.9289
0.0665 0.3778 0.0711
0.5308 0.8875 0.0709
0.1319 0.1123 0.2564
0.6264 0.6064 0.2447
0.3735 0.3936 0.7553
0.8682 0.8877 0.7436
0.8018 0.1192 0.5952
0.2963 0.6173 0.5896
0.7036 0.3827 0.4104
0.1983 0.8808 0.4048
```

Values from the calculation:
Space group   P-1 (2)



#b
Here is a relaxed structure of Li3Mn2CoO6 from the Materials Project. Energies are from PBE with a Hubbard U.

Structure (POSCAR):
```
Li3Mn2CoO6
1.0
1.4279 4.9076 0.0000
-1.4279 4.9076 0.0000
0.0000 4.2018 8.1526
Li Mn Co O
3 2 1 6
direct
0.3337 0.3337 0.8444
0.0000 0.0000 0.5000
0.6663 0.6663 0.1556
0.6694 0.6694 0.6728
0.3306 0.3306 0.3272
0.0000 0.0000 0.0000
0.3501 0.3501 0.0684
0.0158 0.0158 0.7507
0.6770 0.6770 0.4071
0.3230 0.3230 0.5929
0.9842 0.9842 0.2493
0.6499 0.6499 0.9316
```

Values from the calculation:
Space group   C2/m (12)



Which structure is most stable? #b, by 7 meV/atom over the runner-up.



#a
Here is a relaxed structure of Li3Mn2CoO6 from the Materials Project. Energies are from PBE with a Hubbard U.

Structure (POSCAR):
```
Li3Mn2CoO6
1.0
-4.9505 1.1877 -0.0018
-2.8777 -2.3925 3.4693
-- stop --

The study includes a detailed account of the history and evolution of the Abberley Hall designed landscape, and surveys of the ecology, archaeology, trees and woodland, structures and landscape. A statement of significance is then provided, together with the threats, issues and constraints that face the landscape. This leads on to the vision for the conservation and management of the historic landscape, management policies and guidelines, and finally the detailed recommendations.